Monday, March 29, 2010

Feds: Militia members sought to spark uprising

The Faces of Domestic Terrorists - This is the result of inflammatory rhetoric. People start believing that our President is the Anti-Christ, and that all police and government bodies in America are working for the devil. This group is the tip of the iceberg. Don’t be surprised to see more of this kind of thing happen as Tea Baggers call for revolution and other extreme Conservative groups ramp up the hate meter.This is the kind of extremist scum that believes in the destruction of democracy to achieve their own selfish violent ends. Take a good look at them. One day it’s going to be your neighbor if things don’t change. They wanted war, but got caught before they could attack.

They also do it in the name of religion, which is really sick. When people like Sarah Palin call for the rightwing nuts to “Reload” and to “take their country back” this is the result. Mainstream Conservatives are swimming in the same pool as the militias and other radical anti-government groups these days. Unless the rhetoric is toned down, expect to see more of this kind of thing.

Eight arrested, one on the run; they allegedly plotted to attack police

Toxic Chemicals found at military bases and aboard ships poses a serious health threat


From Jim Davis (Veterans-For-Change):

“As most are aware, seen on TV, in the newspapers, and from veteran sites across the country, TCE/PCE is a major issue.

TCE a chemical degreaser used on all bases and board ships is a carcinogenic chemical, and on the many military bases nationwide was disposed of into the ground behind buildings eventually contaminating the ground water and getting into the drinking wells.

Same thing with PCE which is a dry cleaning chemical used both on bases and off base nationwide, also being disposed of into the ground and eventually contaminating the ground water and getting into the drinking wells.

Most recently CNN did a broadcast show highlighting the male breast cancer cluster surrounding Camp LeJeune, North Carolina.


Personally I feel the anchor didn’t bother to do his homework very well, didn’t bring to light all the other medical issues or the families harmed by these chemicals.

There is also currently a bill in committee to award benefits, but in my humble opinion is limited in scope and restrictive to those who served at Camp LeJeune and doesn’t mention any of the 130+ bases nationwide listed on the EPA Superfund list.

Veterans-For-Change has a bill which was drafted back in February 2009 along with a petition to which we’re trying to collect at least 40,000 signatures in order to get either a Senator or Congressman to sign off and present the bill to the floor which will not only address TCE but PCE as well, and opens it up to all military, veterans and family members who served at any base where these chemicals were used and disposed of improperly thereby contaminating all who drank the water or who used the chemicals in their daily jobs.

Veterans-For-Change needs your support desperately to meet the number of signers on the petition. This is NOT an electronic petition, but a hard copy petition. We ask that everyone please go to, and if you’re not a member to please subscribe, go to the documents section, then to the TCE/PCE and other Chemicals section and download the petition.

Sign and try to obtain at least 10 more signatures and mail the complete form into our California office ASAP.

Should you have any questions, please click HERE and send us an E-Mail and we’ll be more than happy to reply!

Sunday, March 28, 2010

As It Stands: If the truth sets you free, the Catholic Church is in captivity


Dave Stancliff/For the Times-Standard

Posted: 03/28/2010 02:26:41 AM PDT

Facts can fracture foundations, but once they are exposed they can also be repaired. The current scandals involving the Roman Catholic pedophile priests in Ireland, Germany, Austria, Switzerland, the United States, the Netherlands and Italy are rocking the church's credibility and stability to the core.

When Pope Benedict XVI recently sent a letter to Ireland apologizing for the chronic child abuse within the Catholic Church, after offering no help to three official Irish investigations that revealed 100 years of abuse in the Dublin Archdiocese and the rural Ferns diocese, he followed the road paved by his predecessors. Over 15,000 victims of sexual abuse by priests have been discovered thus far.

In his letter, the Pope urged priests to confess if they're child molesters, but didn't say what he'd do with them when they did. He mentioned facing the law. But whose law? The Vatican's track record with the church's pedophiles is not very reassuring. The church outright refused to help in the 2001-2009 probes that revealed the scale and longevity of the abuse suffered by Irish children throughout the 20th century.

GO here to read the rest.

UPDATE: Web site carrying today’s column (11:45 a.m., PST):

Wayne SeelingerNew Jersey Church Insurance Specialist

UPDATE: Former Eurekan, Kay Ebeling, shares her story of early age abuse in the Catholic Church. Go to her blog City of Angels: Action 2010 for the whole story.

An article (March 27) by her appeared in AlterNet.

Special thanks to you Kay for fighting for justice. Someday, people like you will force changes within the Catholic Church. Someday, they won’t protect pedophiles.

Image: Jeff AndersonU.S. lawyer takes on Vatican over abuse cases

updated 1 hour, 9 minutes ago

He shared documents with New York Times, sees Ore. lawsuit as critical

Saturday, March 27, 2010

What was the most costly punctuation error in history?

Probably the comma left out of the computer program for NASA's Mariner I Venus probe, which resulted in the craft's destruction.

Want to know some more interesting tidbits? Go here.

Monty was getting sick of explaining to people why he had to take his fish out for fresh air…

Hey! Wait a minute! Fish don’t breath…

photo source

How Crazy is the Conservative rhetoric lately? You decide


MMFA President Burns: "Glenn Beck Is The Single Most Dangerous Person In This Country"

No Surprise That Harris Poll Finds Republicans Believe GOP Smears Of Obama

No…Beck doesn’t mean to really riot…or does he? Click link below.

"You Need To Riot": Right-Wing Uses Violent Rhetoric

The Poll Comes After More Than A Year Of Conservative Media Figures Forwarding Outrageous Smears Of Obama... Rush On Harris Poll: "The Facts Are Facts. The President Is A Socialist"

Beck Responds To Passage Of Health Care Reform With Violent Rhetoric... Beck Laughably Denounces The "Politics Of Fear"... Boehlert: Fox News, Health Care, And The Right-Wing Nervous Breakdown

Chaotic politics: how ugly will they get before people realize they are out-of-control?

The so-called “Conservative Woodstock” is happening today at Searchlight, Nevada.

I figure this will produce some great photos like the one on the right. The world will get to see what these wackaloons believe.  Hint: Reality is NOT on the agenda. Rhetoric will rule. Note: guy in lower right corner wearing t-shirt that Glenn Beck is his hero! I guess that sums it up. Meanwhile, at least  one Tea Party candidate is in trouble with the law. 

Nevada tea party candidate facing felony charges

What Happens When Congress Fails to Do Its Job?

“What drove Bayh from office, rather, was that he'd grown to hate his job. Congress, he wrote in a New York Times op-ed, is "stuck in an endless cycle of recrimination and revenge.

The minority seeks to frustrate the majority, and when the majority is displaced it returns the favor. Power is constantly sought through the use of means which render its effectiveness,once  acquired, impossible."

Friday, March 26, 2010

What we have here is a failure to communicate

 Being uncooperative as usual, Steny defied  people to arrest him.

He knew he could always plead that he couldn’t read.

He also knew, if all else failed, he could count on the governor’s word that he would be granted free reign if he modeled for the sign to the right.

 photo source 

Things to do with Cats – Part One – You can Dance with Them!

Photo source

Fox News: Threats against Democrats are wrong, but ...

I can’t begin to describe how disgusted I am with the Republican Party, and the wing nuts who are threatening legislators. There’s NO EXCUSE for threatening violence. I don’t give a damn what kind of spin Fox and others try to put it…this shit has to stop or the polarization will lead to the destruction of this nation. It’s that simple. If it were the Democrats, I’d say the same thing. This time it isn’t. The Republican Party needs to get it’s act together or all their creditability (what’s left to the party) is going to disappear forever. They can start by listening to their leaders, and not TALK SHOW hosts who inflame viewers for ratings!


Amid reports that several Democrats in Congress have been the targets of death threats, racial and anti-gay epithets, and have had their offices vandalized for their votes on health care reform, several Fox News personalities have been quick to first condemn the threats but then immediately make excuses for the threats. Others have appeared to dismiss the seriousness of the threats.

Doocy: "So why are people angry? Maybe because they didn't want this bill?" Teasing a segment about the threats against Democrats, Fox & Friends co-host Steve Doocy said: "Meanwhile, some House Democrats getting extra security after a series of death threats and even a little vandalism over their health care votes. So why are people angry? Well, maybe because they didn't want this bill?" [Fox & Friends, 3/25/10]

Fox & Friends airs viewer emails comparing threats against Democrats to American Revolution, William Ayers. After Carlson said, "The most important thing is what you think about all of this, because you are the ones that are going to go to the polls eventually," Fox & Friends aired several emails from viewers that condemned the threats but immediately appeared to defend the actions. One email claimed that Democrats are using the threats "to gain sympathy. Like Rahm Emanuel said, 'you never waste a crisis.'" Another read: "[W]hat did they expect when they basically stole from the...American people. What do they think 1776 was about & wasn't there some violence back then?" A third email said: "I don't like violence & it is wrong. Having said that, why should Democrats be surprised? Bill Ayers of the Weather Underground bombed the Pentagon & now he is a 'respected' speaker of the left. Why should Democrats expect anything different?" [Fox & Friends, 3/25/10] Excerpt from the emails:


Beck: Obama is "poking and prodding" people to commit violence. ... "They need you to be violent. They are begging for it." On his March 24 Fox News show, Glenn Beck referenced the "crazy tea baggers in the streets" and said, "Why would a government continue to poke you and poke you and poke you and poke you? Why would they say these things? Why have these people said these things about good Americans?" Beck later said: "This might be the most dangerous monologue I've ever done, because I am telling you now -- they need you to be violent. They are begging for it. You're being set-up. Do not give them what they want." [Glenn Beck, 3/24/10]

photos, video, and text via Media Matters

Thursday, March 25, 2010

Initiative to legalize marijuana qualifies for November ballot

/*
<a>
# Ca3Al2O6 (PBE, relaxed)
data_Ca3Al2O6
_space_group_name_H-M_alt 'P a -3'
_space_group_IT_number 205
_space_group_name_Hall '-P 2ac 2ab 3'
_cell_length_a 15.409
_cell_length_b 15.409
_cell_length_c 15.409
_cell_angle_alpha 90.00
_cell_angle_beta 90.00
_cell_angle_gamma 90.00
loop_
_atom_site_label
_atom_site_fract_x
_atom_site_fract_y
_atom_site_fract_z
_atom_site_occupancy
Ca1 0.000 0.000 0.000 1
Ca2 0.000 0.000 0.500 1
Ca3 0.120 0.121 0.379 1
Ca4 0.120 0.125 0.859 1
Ca5 0.130 0.130 0.130 1
Ca6 0.247 0.247 0.247 1
Al1 0.005 0.744 0.769 1
Al2 0.013 0.520 0.748 1
O1 0.005 0.530 0.151 1
O2 0.011 0.716 0.377 1
O3 0.012 0.153 0.956 1
O4 0.017 0.131 0.739 1
O5 0.096 0.210 0.264 1
O6 0.104 0.736 0.217 1
# magnetic moment = 0.000 μB per formula unit



<b>
# Ca3Al2O6 (PBE, relaxed)
data_Ca3Al2O6
_space_group_name_H-M_alt 'P m -3 m'
_space_group_IT_number 221
_space_group_name_Hall '-P 4 2 3'
_cell_length_a 7.668
_cell_length_b 7.668
_cell_length_c 7.668
_cell_angle_alpha 90.00
_cell_angle_beta 90.00
_cell_angle_gamma 90.00
loop_
_atom_site_label
_atom_site_fract_x
_atom_site_fract_y
_atom_site_fract_z
_atom_site_occupancy
Ca1 0.000 0.000 0.000 1
Ca2 0.292 0.292 0.292 1
Al1 0.000 0.000 0.500 1
Al2 0.000 0.500 0.500 1
O1 0.000 0.237 0.500 1
O2 0.233 0.500 0.500 1
# magnetic moment = 0.001 μB per formula unit



In eV/atom, relative to the most stable structure: <a> 0.000; <b> 0.537.

~~~~~

# 1
A relaxed structure of MgSb. Source: the Materials Project, functional PBE-GGA.

Cell: 12.4174 3.2861 7.5981 Å, 90.00 104.00 90.00°
Element x y z (fractional)
Mg 0.0000 0.0000 0.0000
Mg 0.0525 0.0000 0.6073
Mg 0.3324 0.0000 0.6595
Mg 0.5000 0.5000 0.0000
Mg 0.5525 0.5000 0.6073
Mg 0.8324 0.5000 0.6595
Sb 0.1664 0.5000 0.3391
Sb 0.2045 0.5000 0.8955
Sb 0.4076 0.0000 0.2925
Sb 0.6664 0.0000 0.3391
Sb 0.7045 0.0000 0.8955
Sb 0.9076 0.5000 0.2925

Output
**Energy relative to the elements**: -0.12 eV per atom
**Symmetry**: Cm, No. 8
**Crystal system**: monoclinic
**Final energy**: -2.89 eV/atom


# 2
A relaxed structure of MgSb. Source: the Materials Project, functional PBE-GGA.

Cell: 3.6553 3.6553 3.6553 Å, 90.00 90.00 90.00°
Element x y z (fractional)
Mg 0.0000 0.0000 0.0000
Sb 0.5000 0.5000 0.5000

Output
**Energy relative to the elements**: -0.20 eV per atom
**Symmetry**: Pm-3m, No. 221
**Crystal system**: cubic
**Final energy**: -2.97 eV/atom


# 3
A relaxed structure of Mg2Sb. Source: the Materials Project, functional PBE-GGA.

Cell: 11.7470 3.6564 7.5081 Å, 90.00 113.78 90.00°
Element x y z (fractional)
Mg 0.0516 0.0000 0.3231
Mg 0.1345 0.5000 0.0374
Mg 0.3655 0.0000 0.9626
Mg 0.4484 0.5000 0.6769
Mg 0.5516 0.5000 0.3231
Mg 0.6345 0.0000 0.0374
Mg 0.8655 0.5000 0.9626
Mg 0.9484 0.0000 0.6769
Sb 0.1769 0.5000 0.6793
Sb 0.3231 0.0000 0.3207
Sb 0.6769 0.0000 0.6793
Sb 0.8231 0.5000 0.3207

Output
**Energy relative to the elements**: -0.22 eV per atom
**Symmetry**: C2/m, No. 12
**Crystal system**: monoclinic
**Final energy**: -2.60 eV/atom


# 4
*/


Looks like we’ll be voting on cannabis legalization.

“State election officials announced Wednesday that an initiative to legalize marijuana will be on the November ballot, triggering what will likely be an expensive, divisive and much-watched campaign to decide whether California will again lead the nation in softening drug laws.”


“But the measure, known as the Regulate, Control and Tax Cannabis Act of 2010, goes further, allowing cities and counties to adopt ordinances that would authorize the cultivation, transportation and sale of marijuana, which could be taxed to raise revenues. It's this feature of the initiative that supporters hope will draw support from voters who are watching their local governments jettison employees and programs in the midst of a severe budget crisis.”

Blog Break Until Presidential Election is Over

I finally hit the wall today. I can't think of what to say about all of the madness going on in this country right now. I'm a writer...